It remains to echo all of the lines further down without additions.

____________
# Hf2TaNi6

A geometry-optimized Hf2TaNi6 structure (GGA-PBE, Alexandria).

abc: 5.5046 5.1677 5.1677
angles: 120.00 90.00 90.00
Positions (direct):
Hf  0.3511  0.6667  0.3333
Hf  0.6489  0.3333  0.6667
Ta  0.5000  0.0000  0.0000
Ni  0.8318  0.8226  0.6453
Ni  0.8318  0.8226  0.1774
Ni  0.1682  0.6453  0.8226
Ni  0.8318  0.3547  0.1774
Ni  0.1682  0.1774  0.8226
Ni  0.1682  0.1774  0.3547

Results
Size of the total moment: 0.00 μB/cell
Space-group type: P-3m1
Crystal system: trigonal

# HfTa2Ni6

A geometry-optimized HfTa2Ni6 structure (GGA-PBE, Alexandria).

abc: 5.4390 5.1194 5.1194
angles: 120.00 90.00 90.00
Positions (direct):
Hf  0.5000  0.0000  0.0000
Ta  0.3614  0.6667  0.3333
Ta  0.6386  0.3333  0.6667
Ni  0.8347  0.8202  0.6404
Ni  0.8347  0.8202  0.1798
Ni  0.1653  0.6404  0.8202
Ni  0.8347  0.3596  0.1798
Ni  0.1653  0.1798  0.8202
Ni  0.1653  0.1798  0.3596

Results
Size of the total moment: 0.00 μB/cell
Space-group type: P-3m1
Crystal system: trigonal

# HfTaNi3

A geometry-optimized HfTaNi3 structure (GGA-PBE, Alexandria).

abc: 4.4756 4.4756 4.4756
angles: 90.00 90.00 90.00
Positions (direct):
Ni  0.0000  0.5000  0.0000
Ni  0.0000  0.0000  0.5000
Ni  0.5000  0.0000  0.0000
Hf  0.5000  0.5000  0.5000
Ta  0.0000  0.0000  0.0000

Results
Size of the total moment: 0.00 μB/cell
Relative energy among the computed polymorphs: 0.0 meV per atom
Space-group type: Pm-3m
Crystal system: cubic

# Hf3TaNi

A geometry-optimized Hf3TaNi structure (GGA-PBE, Alexandria).

abc: 5.0358 5.0358 5.0358
angles: 90.00 90.00 90.00
Positions (direct):
Ni  0.5000  0.5000  0.5000
Hf  0.0000  0.5000  0.0000
Hf  0.0000  0.0000  0.5000
Hf  0.5000  0.0000  0.0000
Ta  0.0000  0.0000  0.0000

Results
Size of the total moment: 0.00 μB/cell
Relative energy among the computed polymorphs: 890.7 meV per atom
Space-group type: Pm-3m
Crystal system: cubic

# HfTaVNi

A geometry-optimized HfTaVNi structure (GGA-PBE, Alexandria).

abc: 4.4732 4.4732 4.4732
angles: 60.00 60.00 60.00
Positions (direct):
Ni  0.2500  0.2500  0.2500
V  0.7500  0.7500  0.7500
Hf  0.0000  0.0000  0.0000
Ta  0.5000  0.5000  0.5000

Results
Size of the total moment: 0.02 μB/cell
Space-group type: F-43m
Crystal system: cubic

# HfTaNiW

A geometry-optimized HfTaNiW structure (GGA-PBE, Alexandria).

abc: 4.5472 4.5472 4.5472
angles: 60.00 60.00 60.00
Positions (direct):
Ni  0.2500  0.2500  0.2500
Hf  0.5000  0.5000  0.5000
W  0.7500  0.7500  0.7500
Ta  0.0000  0.0000  0.0000

Results
Size of the total moment: 0.00 μB/cell
Space-group type: F-43m
Crystal system: cubic

# TbHf2Ni

A geometry-optimized TbHf2Ni structure (GGA-PBE, Alexandria).

abc: 3.2677 3.2677 7.8083
angles: 90.00 90.00 90.00
Positions (direct):
Tb  0.5000  0.5000  0.5000
Hf  0.0000  0.0000  0.8046
Hf  0.0000  0.0000  0.1954
Ni  0.5000  0.5000  0.0000

Results
Size of the total moment: 0.00 μB/cell
Space-group type: P4/mmm
Crystal system: tetragonal

# TbHfNi10

A geometry-optimized TbHfNi10 structure (GGA-PBE, Alexandria).

abc: 3.9628 4.8005 8.3174
angles: 90.00 90.00 90.00
Positions (direct):
Tb  0.0000  0.0000  0.0000
Hf  0.0000  0.5000  0.5000
Ni  0.0000  0.0000  0.3407
Ni  0.0000  0.5000  0.8234
Ni  0.0000  0.5000  0.1766
Ni  0.0000  0.0000  0.6593
Ni  0.5000  0.0000  0.5000
Ni  0.5000  0.5000  0.0000
Ni  0.5000  0.2541  0.2570
Ni  0.5000  0.7459  0.7430
Ni  0.5000  0.7459  0.2570
Ni  0.5000  0.2541  0.7430

Results
Size of the total moment: 2.58 μB/cell
Space-group type: Pmmm
Crystal system: orthorhombic

# Tb2HfNi9

A geometry-optimized Tb2HfNi9 structure (GGA-PBE, Alexandria).

abc: 4.8787 4.8787 8.6325
angles: 73.59 73.59 60.00
Positions (direct):
Tb  0.8628  0.8628  0.4115
Tb  0.1372  0.1372  0.5885
Hf  0.0000  0.0000  0.0000
Ni  0.6667  0.6667  0.9998
Ni  0.3333  0.3333  0.0002
Ni  0.5000  0.5000  0.5000
Ni  0.4192  0.4192  0.2417
Ni  0.9199  0.4192  0.2417
Ni  0.4192  0.9199  0.2417
Ni  0.5808  0.5808  0.7583
Ni  0.5808  0.0801  0.7583
Ni  0.0801  0.5808  0.7583

Results
____________

# Hf2TaNi6

A geometry-optimized Hf2TaNi6 structure (GGA-PBE, Alexandria).

abc: 5.5046 5.1677 5.1677
angles: 120.00 90.00 90.00
Positions (direct):
Hf  0.3511  0.6667  0.3333
Hf  0.6489  0.3333  0.6667
Ta  0.5000  0.0000  0.0000
Ni  0.8318  0.8226  0.6453
Ni  0.8318  0.8226  0.1774
Ni  0.1682  0.6453  0.8226
Ni  0.8318  0.3547  0.1774
Ni  0.1682  0.1774  0.8226
Ni  0.1682  0.1774  0.3547

Results
Size of the total moment: 0.00 μB/cell
Space-group type: P-3m1
Crystal system: trigonal

# HfTa2Ni6

A geometry-optimized HfTa2Ni6 structure (GGA-PBE, Alexandria).

abc: 5.4390 5.1194 5.1194
angles: 120.00 90.00 90.00
Positions (direct):
Hf  0.5000  0.0000  0.0000
Ta  0.3614  0.6667  0.3333
Ta  0.6386  0.3333  0.6667
Ni  0.8347  0.8202  0.6404
Ni  0.8347  0.8202  0.1798
Ni  0.1653  0.6404  0.8202
Ni  0.8347  0.3596  0.1798
Ni  0.1653  0.1798  0.8202
Ni  0.1653  0.1798  0.3596

Results
Size of the total moment: 0.00 μB/cell
Space-group type: P-3m1
Crystal system: trigonal

# HfTaNi3

A geometry-optimized HfTaNi3 structure (GGA-PBE, Alexandria).

abc: 4.4756 4.4756 4.4756
angles: 90.00 90.00 90.00
Positions (direct):
Ni  0.0000  0.5000  0.0000
Ni  0.0000  0.0000  0.5000
Ni  0.5000  0.0000  0.0000
Hf  0.5000  0.5000  0.5000
Ta  0.0000  0.0000  0.0000

Results
Size of the total moment: 0.00 μB/cell
Relative energy among the computed polymorphs: 0.0 meV per atom
Space-group type: Pm-3m
Crystal system: cubic

# Hf3TaNi

A geometry-optimized Hf3TaNi structure (GGA-PBE, Alexandria).

abc: 5.0358 5.0358 5.0358
angles: 90.00 90.00 90.00
Positions (direct):
Ni  0.5000  0.5000  0.5000
Hf  0.0000  0.5000  0.0000
Hf  0.0000  0.0000  0.5000
Hf  0.5000  0.0000  0.0000
Ta  0.0000  0.0000  0.0000

Results
Size of the total moment: 0.00 μB/cell
Relative energy among the computed polymorphs: 890.7 meV per atom
Space-group type: Pm-3m
Crystal system: cubic

# HfTaVNi

A geometry-optimized HfTaVNi structure (GGA-PBE, Alexandria).

abc: 4.4732 4.4732 4.4732
angles: 60.00 60.00 60.00
Positions (direct):
Ni  0.2500  0.2500  0.2500
V  0.7500  0.7500  0.7500
Hf  0.0000  0.0000  0.0000
Ta  0.5000  0.5000  0.5000

Results
Size of the total moment: 0.02 μB/cell
Space-group type: F-43m
Crystal system: cubic

# HfTaNiW

A geometry-optimized HfTaNiW structure (GGA-PBE, Alexandria).

abc: 4.5472 4.5472 4.5472
angles: 60.00 60.00 60.00
Positions (direct):
Ni  0.2500  0.2500  0.2500
Hf  0.5000  0.5000  0.5000
W  0.7500  0.7500  0.7500
Ta  0.0000  0.0000  0.0000

Results
Size of the total moment: 0.00 μB/cell
Space-group type: F-43m
Crystal system: cubic

# TbHf2Ni

A geometry-optimized TbHf2Ni structure (GGA-PBE, Alexandria).

abc: 3.2677 3.2677 7.8083
angles: 90.00 90.00 90.00
Positions (direct):
Tb  0.5000  0.5000  0.5000
Hf  0.0000  0.0000  0.8046
Hf  0.0000  0.0000  0.1954
Ni  0.5000  0.5000  0.0000

Results
Size of the total moment: 0.00 μB/cell
Space-group type: P4/mmm
Crystal system: tetragonal

# TbHfNi10

A geometry-optimized TbHfNi10 structure (GGA-PBE, Alexandria).

abc: 3.9628 4.8005 8.3174
angles: 90.00 90.00 90.00
Positions (direct):
Tb  0.0000  0.0000  0.0000
Hf  0.0000  0.5000  0.5000
Ni  0.0000  0.0000  0.3407
Ni  0.0000  0.5000  0.8234
Ni  0.0000  0.5000  0.1766
Ni  0.0000  0.0000  0.6593
Ni  0.5000  0.0000  0.5000
Ni  0.5000  0.5000  0.0000
Ni  0.5000  0.2541  0.2570
Ni  0.5000  0.7459  0.7430
Ni  0.5000  0.7459  0.2570
Ni  0.5000  0.2541  0.7430

Results
Size of the total moment: 2.58 μB/cell
Space-group type: Pmmm
Crystal system: orthorhombic

# Tb2HfNi9

A geometry-optimized Tb2HfNi9 structure (GGA-PBE, Alexandria).

abc: 4.8787 4.8787 8.6325
angles: 73.59 73.59 60.00
Positions (direct):
Tb  0.8628  0.8628  0.4115
Tb  0.1372  0.1372  0.5885
Hf  0.0000  0.0000  0.0000
Ni  0.6667  0.6667  0.9998
Ni  0.3333  0.3333  0.0002
Ni  0.5000  0.5000  0.5000
Ni  0.4192  0.4192  0.2417
Ni  0.9199  0.4192  0.2417
Ni  0.4192  0.9199  0.2417
Ni  0.5808  0.5808  0.7583
Ni  0.5808  0.0801  0.7583
Ni  0.0801  0.5808  0.7583

Results